• Wanted:
Now work out how many lines underneath have the word "orbital" in them; a number is enough.
• Data:
____________
Density functional theory data (wB97M-V/def2-TZVPD) for a 2-piece molecular cluster, C3H9N3OS overall.

Summary:
SMILES: [H]/N=[NH+]\[O-].CN(C)C=S
Frontier orbital gap in eV: 9.085
Lowest unoccupied orbital energy in eV: 0.51
HOMO energy in eV: -8.572
ΔE to the lowest compared entry with this formula, charge and spin in eV: 3.751
E in hartree: -757.2702

Element x y z (Å)
C (-0.155, 0.241, 2.022)
C (-1.102, -0.496, -0.103)
C (0.769, -1.660, 0.648)
N (0.860, 0.876, -1.741)
N (-0.242, -0.685, 0.844)
N (-0.082, 1.707, -2.107)
O (0.023, 2.612, -2.958)
S (-2.415, 0.574, -0.194)
H (-1.213, 0.393, 2.335)
H (0.558, -0.319, 2.677)
H (-1.106, -1.375, -0.855)
H (0.846, -2.208, 1.543)
H (0.573, -2.377, -0.202)
H (1.786, -1.138, 0.298)
H (1.640, 0.877, -2.395)
H (0.213, 1.241, 1.634)
H (-0.952, 1.738, -1.447)

---

Density functional theory data (wB97M-V/def2-TZVPD) for one molecule with the formula C3H9N3OS.

Summary:
Frontier orbital gap in eV: 6.840
Lowest unoccupied orbital energy in eV: -0.79
HOMO energy in eV: -7.627
ΔE to the lowest compared entry with this formula, charge and spin in eV: 5.325
E in hartree: -757.2123

Element x y z (Å)
C (-0.461, 0.251, 1.497)
C (0.445, 0.779, -0.558)
C (-1.953, 0.579, -0.301)
N (0.587, -0.652, -0.977)
N (-0.684, 0.846, 0.361)
N (0.914, -1.496, 0.063)
O (2.316, -1.393, 0.317)
S (1.981, 1.507, -0.027)
H (0.555, 0.210, 1.937)
H (-1.251, 0.102, 2.249)
H (-0.118, 1.304, -1.465)
H (-1.773, -0.168, -1.128)
H (-2.557, 0.077, 0.585)
H (-2.423, 1.446, -0.831)
H (1.321, -0.615, -1.676)
H (0.646, -2.410, -0.196)
H (2.456, -0.368, 0.150)

---

Density functional theory data (wB97M-V/def2-TZVPD) for one molecule with the formula C3H9N3OS.

Summary:
SMILES: CNC/C(=N/S)NO
Frontier orbital gap in eV: 9.123
Lowest unoccupied orbital energy in eV: 0.75
HOMO energy in eV: -8.368
ΔE to the lowest compared entry with this formula, charge and spin in eV: 3.768
E in hartree: -757.2696

Element x y z (Å)
C (0.400, 1.903, -1.744)
C (-1.331, 0.210, -0.841)
C (-0.454, -0.282, 0.198)
H (1.408, 1.818, -2.424)
H (0.812, 1.926, -0.770)
H (-0.198, 2.837, -1.893)
H (-1.212, 0.876, -2.885)
H (-1.907, 1.033, -0.416)
H (-2.113, -0.442, -1.193)
H (1.449, -0.941, 0.205)
H (0.438, -0.980, -1.941)
H (0.224, 0.826, 3.369)
N (-0.528, 0.668, -2.079)
N (0.410, -1.347, -0.076)
N (-0.381, 0.390, 1.294)
O (0.336, -1.754, -1.377)
S (0.639, -0.117, 2.457)

---

Density functional theory data (wB97M-V/def2-TZVPD) for C3H9N3S2 as an isolated structure.

Summary:
Frontier orbital gap in eV: 8.404
Lowest unoccupied orbital energy in eV: 0.07
HOMO energy in eV: -8.332
ΔE to the lowest compared entry with this formula, charge and spin in eV: 3.305
E in hartree: -1080.1956

Element x y z (Å)
C (2.294, -0.880, -1.043)
C (2.234, -0.163, 1.338)
C (-0.337, 0.580, -0.204)
H (2.019, -0.667, -2.111)
H (1.592, -1.704, -0.682)
H (3.453, -1.017, -1.013)
H (1.344, -0.758, 1.761)
H (3.195, -0.728, 1.565)
H (2.209, 0.673, 1.978)
H (1.248, 1.967, -0.790)
H (0.125, -1.361, -1.151)
H (-2.845, -1.164, -0.854)
N (2.233, 0.318, -0.035)
N (0.985, 1.067, -0.198)
N (-0.475, -0.843, -0.124)
S (-1.553, 1.663, -0.030)
S (-1.989, -1.429, 0.233)

---

Density functional theory data (wB97M-V/def2-TZVPD) for an isolated ion of composition C3H9N4 and charge +1.

Summary:
Net charge: +1
Frontier orbital gap (alpha / beta) in eV: 9.088 / 5.493
Spin multiplicity: 3
Lowest unoccupied orbital energy (alpha / beta) in eV: -3.20 / -7.38
HOMO energy (alpha / beta) in eV: -12.291 / -12.871
ΔE to the lowest compared entry with this formula, charge and spin in eV: 1.021
Expectation value of S²: 2.019
E in hartree: -338.3212

Element x y z (Å)
C (1.034, 0.443, 0.204)
C (-0.105, -0.439, 0.922)
C (-2.110, -0.186, -0.519)
N (2.041, -0.147, -0.224)
N (-1.045, -0.967, 0.057)
N (0.724, 1.728, -0.019)
N (3.058, -0.798, -0.221)
H (0.412, -1.219, 1.480)
H (-0.562, 0.273, 1.616)
H (-2.431, -0.633, -1.455)
H (-2.969, -0.157, 0.158)
H (-1.788, 0.835, -0.717)
H (-0.038, 2.163, 0.473)
____________
• Completed:
10